“They were careless people, Tom and Daisy—they smashed up things and creatures and then retreated back into their money or their vast carelessness, or whatever it was that kept them together, and let other people clean up the mess they had made.” — F. Scott Fitzgerald, The Great Gatsby
Lessoned learned: Don’t make a person into a symbol for success.
The third book on this list:
#quotes #LiteraryClassics #Booksodon #reading #TheGreatGatsby #FScottFitzgerald
#quotes #literaryclassics #booksodon #reading #thegreatgatsby #fscottfitzgerald
[…] Poi fu tutto buio, e la culla bianca e le facce indistinte che si agitavano sopra di lui e il dolce aroma caldo del latte svanirono dalla sua mente.
da Il curioso caso di Benjamin Button (1922; Feltrinelli, Zoom, 2013)
di Francis Scott Fitzgerald (1896-1940)
Traduzione di Laura Bortoluzzi
Giangiacomo Feltrinelli Editore
#FrancisScottFitzgerald #fscottfitzgerald #laurabortoluzzi #benjaminbutton #ilcuriosocasodibenjaminbutton
Hollywood please make this happen: Kieran Culkin as washed up F. Scott Fitzgerald.
Left photo: F. Scott Fitzgerald in Hollywood, 1937, by Carl Van Vechten. Right photo: Kieran Culkin, from Entertainment Tonight.
#fscottfitzgerald #kieranculkin #movies
Happy anniversary to one of my most treasured books. #FScottFitzgerald #TheGreatGatsby
#fscottfitzgerald #thegreatgatsby
#FScottFitzgerald #Gatsby #erichkästner #fabian #umbertoeco #dernamederrose #viennablood #franktallis #liebermannpapiere #literatur #lesen #buch #buchtipp #tv
spät aber nicht zu spät meine TV Tipps :)
#fscottfitzgerald #gatsby #erichkastner #fabian #umbertoeco #dernamederrose #ViennaBlood #franktallis #liebermannpapiere #literatur #lesen #buch #buchtipp #tv
Finally got around to writing my review of this one.
#blog #blogger #review #MovieReview #TheGreatGatsby #BazLuhrmann #CraigPearce #FScottFitzgerald #LeonardoDicaprio #TobeyMaguire #CareyMulligan #JoelEdgerton #ElizabethDebicki #IslaFisher #JasonClarke
#blog #blogger #review #moviereview #thegreatgatsby #BazLuhrmann #craigpearce #fscottfitzgerald #leonardodicaprio #tobeymaguire #careymulligan #joeledgerton #elizabethdebicki #islafisher #jasonclarke
"Never read Fitzgerald? You Gatsby kidding me!" #library #fscottfitzgerald #TheGreatGatsby
#TheGreatGatsby #fscottfitzgerald #library
F. Scott Fitzgerald statue in St. Paul, Minnesota
#fscottfitzgerald #stpaul #Minnesota #Photography
Y finalmente para leer también este mes de la mujer 💜:
📚El gran Gatsby, F. Scott Fitzgerald, con Embajadores Literarios (grupo de lectura en instagram y discord) 🫶 a leer Daisy Buchanan.
📚Chilenas, María José Cumplido, que fue mi regalo de cumpleaños del Chismecito Spicy y viene perfecto para leer en el mes que conmemoramos el Día Internacional de la Mujer💜
#leyendo #elgrangatsby #fscottfitzgerald #chilenas #mariajosecumplido #bookstodon
And I shall go on shining as a brilliantly meaningless figure in a meaningless world.
[Materials data that have nothing to do with the article]
Computed, not measured: a geometry-optimized BaMgSb structure at the PBE-GGA level of DFT.

extended XYZ file:
```
3
Lattice="0.0000 3.9413 3.9413 3.9413 0.0000 3.9413 3.9413 3.9413 0.0000" Properties=species:S:1:pos:R:3 pbc="T T T"
Ba 0.0000 0.0000 0.0000
Mg 5.9120 5.9120 5.9120
Sb 1.9707 1.9707 1.9707
```

**Energy above the most stable polymorph in this dataset**: 1.63 eV per formula unit
**E_form (uncorrected)**: -0.42 eV per formula unit
**E_tot**: -2.69 eV per atom
**DOS(E_F)**: 1.537 states/eV/f.u.

=====

1.
Compound: Sc3Be
Source: Alexandria via LeMat-Bulk
Functional: SCAN
Structure: single point on PBEsol structure

Cell and atoms, written as extended XYZ:
```
16
Lattice="5.906 0.000 0.000 0.000 6.139 0.000 0.000 0.000 8.723" Properties=species:S:1:pos:R:3 pbc="T T T"
Sc 5.263 6.073 2.181
Sc 1.144 1.856 3.930
Sc 3.596 3.004 2.181
Sc 4.097 1.214 4.792
Be 0.208 3.517 2.181
Sc 1.809 4.925 3.930
Sc 0.643 0.066 6.542
Sc 4.097 1.214 8.292
Sc 4.762 4.284 4.792
Sc 1.144 1.856 0.431
Sc 2.310 3.136 6.542
Sc 1.809 4.925 0.431
Sc 4.762 4.284 8.292
Be 5.698 2.623 6.542
Be 2.745 0.447 2.181
Be 3.161 5.693 6.542
```

## Properties
Energy relative to the elements ... 25 meV/atom

2.
Compound: SrSc2Ru
Source: Alexandria via LeMat-Bulk
Functional: SCAN
Structure: single point on PBEsol structure

Cell and atoms, written as extended XYZ:
```
4
Lattice="-1.244 -3.223 -0.193 4.185 -1.811 3.276 -4.269 3.356 2.498" Properties=species:S:1:pos:R:3 pbc="T T T"
Ru 2.092 -0.906 1.638
Sr -0.622 -1.611 -0.096
Sc -1.747 0.523 2.521
Sc 0.418 -2.202 3.060
```

## Properties
Energy relative to the elements ... -53 meV/atom

3.
Compound: GePPtO2
Source: Alexandria via LeMat-Bulk
Functional: SCAN
Structure: single point on PBEsol structure

Cell and atoms, written as extended XYZ:
```
5
Lattice="3.841 0.000 0.000 0.000 3.841 0.000 0.000 0.000 4.900" Properties=species:S:1:pos:R:3 pbc="T T T"
O 1.921 0.000 0.000
Pt 0.000 0.000 0.000
O 0.000 1.921 0.000
Ge 1.921 1.921 2.450
P 0.000 0.000 2.450
```

## Properties
Energy relative to the elements, uncorrected ... 0.124 eV/atom

4.
Compound: Zn3Au
Source: Alexandria via LeMat-Bulk
Functional: SCAN
Structure: single point on PBEsol structure

Cell and atoms, written as extended XYZ:
```
4
Lattice="2.907 0.000 0.000 0.000 4.666 0.000 -1.453 -2.333 4.333" Properties=species:S:1:pos:R:3 pbc="T T T"
Zn 0.000 1.565 2.182
Zn 1.453 -0.768 2.151
Au 0.000 0.004 0.000
Zn 1.453 2.310 0.000
```

## Properties
Energy relative to the elements ... -150 meV/atom

5.
Compound: Sr2TaSi
Source: Alexandria via LeMat-Bulk
Functional: SCAN
Structure: single point on PBEsol structure

Cell and atoms, written as extended XYZ:
```
4
Lattice="-2.347 -3.546 -1.881 3.801 -2.663 0.277 -1.956 1.771 4.847" Properties=species:S:1:pos:R:3 pbc="T T T"
Ta 0.727 -3.104 -0.802
Sr -1.788 -2.439 1.082
Sr 0.000 0.000 0.000
Si 1.286 -1.998 2.161
```

## Properties
Energy relative to the elements, uncorrected ... 0.834 eV/atom

6.
Compound: MgScP2Cl
— F. Scott Fitzgerald, The Beautiful and Damned
(📖 https://www.gutenberg.org/files/9830/9830-h/9830-h.htm#CHAPTER_Ia ) #FScottFitzgerald #BeautifulAndTheDamned #Books #Reading #Obscurity #Book #Humility #Literature #Quote
#fscottfitzgerald #beautifulandthedamned #books #reading #obscurity #book #humility #literature #quote
I want to know you moved and breathed in the same world with me
F. Scott Fitzgerald - Benediction
"Clark", she said softly, "I wouldn't change you for the world. You're sweet the way you are. The things that'll make you fail I'll love always—the living in the past, the lazy days and nights you have, and all your carelessness and generosity."
"But you're goin' away?"
"Yes—because I couldn't ever marry you.... There's two sides to me, you see. There’s the sleepy old side you love; an’ there’s a sort of energy– the feelin’ that makes me do wild things”
They were young and gravely passionate; they demanded everything and then yielded everything again in ecstasies of unselfishness and pride.
F. Scott Fitzgerald
#kevinmccarthy believed in the 218 votes, the orgastic future that year by year recedes before us. It eluded us then, but that's no matter—to-morrow we will run faster, stretch out our arms farther. . . . And one fine morning——
So we beat on, boats against the current, borne back ceaselessly into the past.
W/ apologies to #FScottFitzgerald
#speakerofthehouse #fscottfitzgerald #kevinmccarthy
#kevinmccarthy believed in the 218 votes, the orgastic future that year by year recedes before us. It eluded us then, but that's no matter—to-morrow we will run faster, stretch out our arms farther. . . . And one fine morning——
So we beat on, boats against the current, borne back ceaselessly into the past.
W/ apologies to #FScottFitzgerald
#fscottfitzgerald #kevinmccarthy
Kisses in the back of taxis and motor-cars were no longer enough; they did a curious thing: They dropped out of their world for a while and made another world just beneath it
F. Scott Fitzgerald
“I’m not making a mistake - I’m leaving my mistakes behind”
“You’re trying to leave yourself behind, but you can’t. The more you try to run away from yourself, the more you’ll have yourself with you.”
F Scott Fitzgerald
=====
Density functional theory data (GGA-PBE) for crystalline TaTe at its relaxed geometry.

The value obtained for the total DFT energy (no corrections) is -7.273 eV/atom. The calculation puts the uncorrected formation energy at 0.225 eV per atom. As for the crystal system: orthorhombic. Its density of states at the Fermi level is 10.04 states/eV/cell.

The space group is Pmmn (No. 59, origin choice 2) and the conventional cell measures 3.384, 15.264 and 4.887 Å, with angles of 90.00, 90.00 and 90.00 degrees. Symmetry generates all atoms from Ta at (0.250, 0.077, 0.117), Ta at (0.250, 0.750, 0.674), Te at (0.250, 0.250, 0.877) and Te at (0.250, 0.588, 0.404).

=====

Density functional theory data (GGA-PBE) for crystalline TaTe at its relaxed geometry.

The value obtained for the total DFT energy (no corrections) is -7.431 eV/atom. The calculation puts the uncorrected formation energy at 0.066 eV per atom. As for the crystal system: orthorhombic. Its density of states at the Fermi level is 5.44 states/eV/cell.

The space group is Cmme (No. 67) and the conventional cell measures 3.720, 5.133 and 9.987 Å, with angles of 90.00, 90.00 and 90.00 degrees. Symmetry generates all atoms from Ta at (0.000, 0.250, 0.104) and Te at (0.000, 0.250, 0.681).

=====

Density functional theory data (GGA-PBE) for crystalline TaTe at its relaxed geometry.

The value obtained for the total DFT energy (no corrections) is -6.974 eV/atom. The calculation puts the uncorrected formation energy at 0.523 eV per atom. As for the crystal system: tetragonal. Its density of states at the Fermi level is 8.40 states/eV/cell.

The space group is I4_1/amd (No. 141, origin choice 2) and the conventional cell measures 4.461, 4.461 and 8.448 Å, with angles of 90.00, 90.00 and 90.00 degrees. Symmetry generates all atoms from Ta at (0.000, 0.250, 0.375) and Te at (0.000, 0.250, 0.875).

=====

Density functional theory data (GGA-PBE) for crystalline TaTe at its relaxed geometry.

The value obtained for the total DFT energy (no corrections) is -7.489 eV/atom. The calculation puts the uncorrected formation energy at 0.009 eV per atom. As for the crystal system: monoclinic. Its density of states at the Fermi level is 11.75 states/eV/cell.

The space group is Cm (No. 8) and the conventional cell measures 12.412, 3.455 and 7.319 Å, with angles of 90.00, 117.46 and 90.00 degrees. Symmetry generates all atoms from Ta at (0.000, 0.000, 0.000), Ta at (0.093, 0.500, 0.747), Ta at (0.286, 0.000, 0.998), Te at (0.013, 0.000, 0.397), Te at (0.199, 0.500, 0.212) and Te at (0.350, 0.000, 0.683).

=====

Density functional theory data (GGA-PBE) for crystalline TaTe at its relaxed geometry.

The value obtained for the total DFT energy (no corrections) is -7.196 eV/atom. The calculation puts the uncorrected formation energy at 0.301 eV per atom. As for the crystal system: trigonal. Its density of states at the Fermi level is 7.15 states/eV/cell.
=====
"His bedroom was the simplest room of all - except where the dresser was garnished with a toilet set of pure dull gold."
middle sentence of "The Great Gatsby" by #FScottFitzgerald on #isbnmaschine
#isbnmaschine #fscottfitzgerald
Daisy Buchanan’s first words in F Scott Fitzgerald's, 'The Great Gatsby', spoken to narrator Nick Carraway upon his arrival at the Buchanan residence.
I’m p-paralyzed with happiness.’ She laughed again, as if she said something very witty, and held my hand for a moment, looking up into my face, promising that there was no one in the world she so much wanted to see. That was a way she had.
#fscottfitzgerald #TheGreatGatsby